### Wanted
Copy only the lines below with the word "def2-TZVPD" in them.

### Excerpt
This record from the Open Molecules 2025 dataset describes a 16-piece molecular cluster, C54H115N4O32 overall in a non-equilibrium geometry. The level of theory is ωB97M-V/def2-TZVPD.

Cartesian coordinates (Å):
C -0.6377 1.6636 3.3332
C -1.2700 0.5629 2.4452
N -0.6906 0.5841 1.1254
C -1.1682 1.3619 0.0858
C -0.4395 1.1895 -1.0458
N 0.5151 0.2242 -0.7020
C 0.3249 -0.1784 0.6014
C 1.6182 -0.2186 -1.5151
H -0.8655 2.6338 2.8917
H 0.4321 1.5708 3.5207
H -1.0826 1.6334 4.3278
H -2.3593 0.6023 2.4363
H -1.0735 -0.3997 2.9172
H -2.0389 1.9763 0.2609
H -0.4262 1.6188 -2.0367
H 0.9326 -0.8768 1.1576
H 1.5697 -1.2933 -1.6906
H 2.4986 0.0878 -0.9502
H 1.5440 0.2260 -2.5075
C -0.0820 -9.4377 3.4586
C 0.2332 -8.3263 4.2201
C -0.4634 -7.0406 3.9462
O -0.2585 -5.8997 4.5369
C -1.3979 -6.9129 2.9969
C -1.9080 -8.0561 2.2126
C -1.0983 -9.4200 2.3939
O -1.4237 -10.4103 1.7667
O -2.9628 -8.0069 1.5400
O 1.2020 -8.5566 5.0416
H 0.3572 -10.4210 3.5403
H -1.9724 -6.0230 2.7862
C -3.9187 8.3487 1.2901
C -2.5012 7.7475 1.1813
O -2.0099 8.0557 -0.1478
C -0.7382 7.6550 -0.5276
O -0.1077 8.0551 -1.4788
O -0.3258 6.6424 0.2148
C 0.9351 6.1524 0.0830
H -3.8544 9.4264 1.4404
H -4.4164 7.9169 2.1584
H -4.5110 8.2111 0.3855
H -2.5351 6.6643 1.2985
H -1.8127 8.1255 1.9371
H 1.1250 5.6619 -0.8717
H 1.0272 5.4608 0.9205
H 1.6245 6.9817 0.2416
C -0.6613 6.9174 8.0431
C 0.4000 7.5459 7.1163
O 1.4141 6.6163 6.8932
C 2.3868 6.8668 5.9966
O 2.2990 7.7205 5.1560
O 3.4206 6.0082 6.1392
C 4.5974 6.1643 5.3302
H -0.1770 6.6580 8.9845
H -0.9633 6.0008 7.5364
H -1.4702 7.6259 8.2214
H 0.8103 8.4809 7.4979
H -0.1351 7.7237 6.1834
H 5.3472 5.4872 5.7394
H 5.0456 7.1570 5.3717
H 4.2631 5.9660 4.3118
C 7.4254 3.3673 -9.2470
C 6.1107 2.9599 -8.6422
O 6.2166 2.8815 -7.2177
C 5.9822 3.8427 -6.3087
O 6.0146 3.6667 -5.0903
O 5.7240 5.0074 -6.9537
C 5.7208 6.2635 -6.2350
H 7.7960 4.3093 -8.8426
H 7.4197 3.6942 -10.2868
H 8.2566 2.6963 -9.0302
H 5.8166 2.0028 -9.0730
H 5.2988 3.6504 -8.8703
H 6.6961 6.6819 -6.4834
H 5.5586 6.1682 -5.1614
H 4.9834 6.9867 -6.5834
C -7.8550 -0.1412 -3.5529
C -8.7580 -0.4214 -2.3584
O -9.8804 -1.1648 -2.6711
C -10.5256 -1.7297 -1.6741
O -10.5433 -1.3380 -0.5159
O -11.1976 -2.6584 -2.2151
C -12.2953 -3.1858 -1.4920
H -7.6019 -1.0083 -4.1630
H -6.9910 0.4707 -3.2939
H -8.4529 0.4074 -4.2807
H -8.9869 0.5327 -1.8837
H -8.1016 -1.0391 -1.7455
H -12.3818 -3.1476 -0.4061
H -12.4332 -4.2387 -1.7379
H -13.2128 -2.7258 -1.8589
C -4.9126 2.9241 -11.8471
C -4.0872 2.8780 -10.6187
O -3.4605 4.1436 -10.4214
C -2.7131 4.3456 -9.3189
O -2.3311 3.4828 -8.4815
O -2.3043 5.6291 -9.4074
C -1.2749 6.1328 -8.6442
H -4.3752 3.2912 -12.7214
H -5.8113 3.5098 -11.6535
H -5.2525 1.9202 -12.1015
H -3.3166 2.1446 -10.8559
H -4.5766 2.4717 -9.7335
H -0.3040 5.6530 -8.7680
H -1.3909 6.3132 -7.5755
H -1.0556 7.0746 -9.1472
C 2.9189 2.1371 11.6369
C 2.5156 2.5885 13.0132
O 3.0635 1.7338 13.9408
C 3.1325 2.0912 15.2175
O 2.6424 3.1432 15.7179
O 3.6939 1.1080 15.8941
C 3.8451 1.2543 17.3273
H 2.5512 2.7523 10.8157
H 2.5206 1.1515 11.3961
H 3.9964 2.1340 11.4721
H 1.4338 2.7133 12.9648
H 2.8852 3.5952 13.2079
H 4.4123 0.3625 17.5939
H 2.8407 1.2334 17.7501
H 4.3282 2.1903 17.6077
C 10.6110 -0.1553 4.3204
O 10.4459 -0.8930 3.0724
C 10.1858 -0.1431 1.9045
C 10.1204 -1.1538 0.7168
N 8.9344 -2.0373 0.8675
C 8.7575 -2.9052 -0.2642
C 7.7315 -4.0125 0.0690
O 6.4724 -3.4243 0.4434
C 5.5077 -4.3952 0.9061
H 11.2721 0.6958 4.1574
H 10.9525 -0.7553 5.1639
H 9.6305 0.2781 4.5180
H 11.0294 0.5088 1.6777
H 9.3398 0.5396 1.9832
H 11.0727 -1.6835 0.7407
H 10.0855 -0.5631 -0.1986
H 9.1120 -2.6051 1.6837
H 9.7053 -3.4267 -0.3978
H 8.4958 -2.3937 -1.1904
H 8.0598 -4.6983 0.8500
H 7.5832 -4.6008 -0.8366
H 5.6618 -4.6311 1.9591
H 5.6261 -5.3155 0.3343
H 4.4718 -4.1043 0.7320
C -3.8039 -9.8029 -7.4071
O -2.5180 -9.7180 -6.8310
C -2.4405 -8.7383 -5.8345
C -1.0427 -8.8566 -5.1279
N -0.0642 -8.2861 -6.0652
C 1.2669 -8.5002 -5.4783
C 2.3707 -8.4171 -6.5412
O 2.3911 -9.6074 -7.3037
C 3.3880 -9.5557 -8.3330

### Solution
This record from the Open Molecules 2025 dataset describes a 16-piece molecular cluster, C54H115N4O32 overall in a non-equilibrium geometry. The level of theory is ωB97M-V/def2-TZVPD.